Welcome to a list of free email services that do not ask for your phone number. Yep, it’s kind of creepy these days. You need to give away your phone number in exchange for an email account. I mean, while it does add a layer of security, it also comes at the price of privacy. So here is a list of email providers that provide free email services without asking for phone numbers – Read on!
P.S. 1-7 are “more permanent emails”, and 8-12 are “temporary emails”. Otherwise, this list is not in any particular order.
Restrictions: Attachments up to 30MB, total storage of 65 GB for free users. Require an alternate email to sign up.
Signing up with mail.com is a breeze. Simply enter your name, desired email address, security question, password, and that’s it – An email account within 3 minutes. But take note, they do have a limit of 65 GB storage for free users, and the largest allowed file attachment is 30 MB.
That may be a bummer to some, but the extra features they offer greatly outweigh the limits – Two-factor authentication (2FA), email alias, free online Office suite, and even free email mobile apps for both Android and iOS. Mail.com has so far been one of my personal favorites, the servers are decently fast, and their service is just fuss-free.
Restrictions: 1GB of storage space
This is one of the better email services that I know of. Tutanota offers free anonymous sign-ups and up to 1GB of storage space. The better part? Tutanota is encrypted; It adds another layer of security.
The best part? There are no advertisements. Tutanota is open source and funded by donations plus premium accounts. The premium accounts are very affordable at only 1 euro a month. Do support these guys if you like their email service.
Restrictions: 50MB attachments. Require an alternate email to sign up.
GMX (Global Mail eXchange) is run by a listed company in Germany. They are plenty reliable enough, running since 1997. Although they do not state any storage restrictions, there is a 50MB attachment limit… Also, advertisements alert. Take note – Even though you do not need a phone number to register on GMX, you still need another email account.
Restrictions: 500 MB of storage space, send 150 emails a day
Switzerland-based ProtonMail offers free email accounts with 500MB storage and 150 emails a day. While this does not sound very exciting, ProtonMail has a feature that most other email providers don’t – encryption. Yep, you can send encrypted emails to people that are password protected and will expire/self-destruct in a number of days. Is that cool enough now?
Restrictions: 500 MB of storage space. Requires alternate email.
Encryption, privacy, no ads, no tracking. MailFence is one that actually looks pretty convincing. But take note, an existing email is required to sign up and activate MailFence.
A free Russian email provider that many people shared… But the problem is, this site is in Russian only. A little bit of Google Translate did the magic – A pretty simple registration form nonetheless.
- Choose your email address.
- Enter & confirm your password.
- Choose a “security question”.
Restrictions: Might still ask for your phone number…
Yandex is the so-called “Russian Google”. As you might have noticed, I have appended a “not really” on the heading. Yes, and that is for a good reason. You can sign up for a Yandex email account without a phone number, just click on “I don’t have a telephone number” during registration.
BUT here’s the catch – If Yandex somehow deems your account as “spammy”, they will still ask for your phone number as verification. I already have my spare Yandex account locked in this manner, and I am refusing to give them my number. You decide if Yandex is worth your time.
### What comes next are calculated crystals, not part of the piece
<<<
[1]
Ta2Al2V: calculated powder X-ray diffraction pattern (Cu Kα X-rays), based on the PBE geometry in Alexandria.
Lines closer than 0.1° are merged.

Structure:
a b c (Å): 6.7613 6.7613 3.5661
angles (deg): 90.00 90.00 90.00
Space group P4/mbm (No. 127)
Unique sites:
Ta 0.1725 0.3275 0.0000 x4
Al 0.1297 0.6297 0.5000 x4
V 0.0000 0.0000 0.5000 x2

Top 8 peaks for 2θ = 10–90°, sorted by position:
hkl	Position (°2θ)	I/Imax
0 0 1	24.97	28
2 0 0	26.36	18
2 1 0	29.54	57
2 0 1	36.63	41
2 1 1	39.06	100
3 1 0	42.27	26
4 1 1	62.32	25
3 3 1	63.99	18

---

[2]
PrCd4Pt4: calculated powder X-ray diffraction pattern (Cu Kα X-rays), based on the PBE geometry in Alexandria.
Lines closer than 0.1° are merged.

Structure:
a b c (Å): 6.3622 6.3622 9.3345
angles (deg): 90.00 90.00 90.00
Space group P4_2/nmc (No. 137, origin choice 2)
Unique sites:
Pr 0.2500 0.7500 0.2500 x2
Cd 0.0212 0.2500 0.1657 x8
Pt 0.0268 0.2500 0.4680 x8

Top 8 peaks for 2θ = 10–90°, sorted by position:
hkl	Position (°2θ)	I/Imax
2 0 1	29.67	51
2 1 1	32.91	62
2 2 0	40.09	48
2 0 3	40.56	100
1 0 4	41.20	25
4 0 0	57.98	24
3 2 4	66.44	26
4 2 3	73.15	28

---

[3]
Tm3Zn7Cu2: calculated powder X-ray diffraction pattern (Cu Kα X-rays), based on the PBE geometry in Alexandria.
Lines closer than 0.1° are merged.

Structure:
a b c (Å): 5.3185 5.3185 25.5233
angles (deg): 90.00 90.00 120.00
Space group R-3m (No. 166, hexagonal axes)
Unique sites:
Tm 0.0000 0.0000 0.0000 x3
Tm 0.0000 0.0000 0.1415 x6
Zn 0.0000 0.0000 0.5000 x3
Zn 0.0045 0.5023 0.9195 x18
Cu 0.0000 0.0000 0.3343 x6

Top 8 peaks for 2θ = 10–90°, sorted by position:
hkl	Position (°2θ)	I/Imax
1 0 7	31.29	45
1 1 0	33.70	51
0 1 8	34.19	37
0 2 1	39.28	39
1 1 6	39.98	100
2 1 7	58.78	16
3 0 6	64.53	23
2 2 0	70.87	22
>>>
Restrictions: Not a permanent email, 150MB attachment limit.
Want a totally anonymous email? Then create one that is temporary. Introducing Guerrilla Mail – a one-time email that you can create, use, then dispose of immediately. No sign-up is required, and you can even attach files up to 150MB.
Restrictions: Not a permanent email
Email on deck is an alternative to Guerrilla Mail, simply verify that you are not a bot and get your temporary email – Use and dispose of.
Restrictions: Temporary email addresses
Yes, this is another temporary email provider. No fuss, no sign-up is required, no phone numbers, no password. Just don’t use this to keep your dark secrets.
Restrictions: Public email addresses, receiving only
Mailnesia is an email with amnesia. Seriously. Just enter your desired email address, and you get an instant mailbox in seconds – No registration is required. One problem with Mailnesia is that you cannot send any emails with it though.
Tempinbox is yet another public email that you can use within seconds. Again, you can only receive emails with it, and there is no sending of emails with it.
This post is getting quite a number of funny random hate comments from dumb trolls. If you have registration problems, it could very well be anything such as network issues, browser compatibility, geolocation bans, IP blacklist, VPN/TOR not allowed, or providers changing their business policies over time.
Let’s keep things civil here, and help each other out – Just share which worked and not. I obviously don’t run the email services, and cannot monitor them every single day. 😆 Hate and blaming won’t do any good, nor get you a free email address. Chill and good luck!
We have come to the end of this list, and I hope that it has been helpful to you. Now go create your free email accounts without the fear of some random marketer calling you for email upgrades. If you have more free services to share, please feel free to comment below.
Forget my last comment! EmailOnDeck works, Krisp’s website just never finished it’s confirmation animation so I thought that it didn’t work Thanks for suggesting that one!
Protonmail requires a phone number now, real shame.
Mail.com wont even let me sign up… get null error. I tired absurd word and number combos in case it meant address taken… but it doesn’t tell you. Just nope.
Why not just use an email with phone verification, and create a dummy phone number for the text verification?
(The article is interrupted by materials data)
____________
Theoretical powder XRD pattern
Compound: LiCoPt3O6
Radiation: λ = 1.5418 Å (Cu Kα)
Structure: a PBE+U-relaxed structure
No peak broadening, texture or thermal motion is included.

Principal peaks in the range 2θ from 5° to 70°, in order of rising 2θ:
two_theta	intensity
27.7	78
29.7	63
33.2	100
36.4	57
50.2	37
52.6	33

Cell and atoms:
a b c (Å): 6.2373 3.1818 6.6715
angles (deg): 90.00 105.26 90.00
Fractional coordinates of all 11 atoms:
Li1 0.0000 0.0000 0.0000
Co1 0.1732 0.0000 0.6955
Pt1 0.2319 0.5000 0.2769
Pt2 0.6941 0.5000 0.7354
Pt3 0.7102 0.0000 0.2501
O1 0.0378 0.5000 0.8394
O2 0.0533 0.0000 0.3497
O3 0.3568 0.5000 0.6303
O4 0.3792 0.0000 0.1746
O5 0.6689 0.0000 0.9283
O6 0.7537 0.0000 0.5612

Theoretical powder XRD pattern
Compound: RbMgMoO3
Radiation: λ = 1.5418 Å (Cu Kα)
Structure: a PBE+U-relaxed structure
No peak broadening, texture or thermal motion is included.

Principal peaks in the range 2θ from 5° to 70°, in order of rising 2θ:
two_theta	intensity
27.4	100
30.0	74
35.1	44
43.0	48
46.8	43
56.6	40

Cell and atoms:
a b c (Å): 4.2060 4.2060 5.1195
angles (deg): 90.00 90.00 90.00
Fractional coordinates of all 6 atoms:
Rb1 0.0000 0.0000 0.0000
Mg1 0.0000 0.0000 0.5000
Mo1 0.5000 0.5000 0.5000
O1 0.0000 0.5000 0.5000
O2 0.5000 0.0000 0.5000
O3 0.5000 0.5000 0.0000

Theoretical powder XRD pattern
Compound: La2CrMoO6
Radiation: λ = 1.5418 Å (Cu Kα)
Structure: a PBE+U-relaxed structure
No peak broadening, texture or thermal motion is included.

Principal peaks in the range 2θ from 5° to 70°, in order of rising 2θ:
two_theta	intensity
31.4	100
31.7	59
45.4	28
55.7	23
56.2	45
65.5	18

Cell and atoms:
a b c (Å): 5.6990 5.6990 5.6990
angles (deg): 120.57 120.57 89.01
Fractional coordinates of all 10 atoms:
La1 0.2500 0.7500 0.5000
La2 0.7500 0.2500 0.5000
Cr1 0.0000 0.0000 0.0000
Mo1 0.5000 0.5000 0.0000
O1 0.1724 0.3120 0.4844
O2 0.2424 0.2424 0.0000
O3 0.3120 0.8276 0.1396
O4 0.6880 0.1724 0.8604
O5 0.7576 0.7576 0.0000
O6 0.8276 0.6880 0.5156

Theoretical powder XRD pattern
Compound: Sr2V2GaO7
Radiation: λ = 1.5418 Å (Cu Kα)
Structure: a PBE+U-relaxed structure
No peak broadening, texture or thermal motion is included.

Principal peaks in the range 2θ from 5° to 70°, in order of rising 2θ:
two_theta	intensity
15.9	28
28.1	78
32.5	39
33.0	41
33.4	100
47.0	53

Cell and atoms:
a b c (Å): 11.8088 11.8088 11.8088
angles (deg): 38.26 152.99 153.41
Fractional coordinates of all 24 atoms:
Sr1 0.0133 0.1473 0.1606
Sr2 0.0133 0.3527 0.3660
Sr3 0.9867 0.6473 0.6340
Sr4 0.9867 0.8527 0.8394
V1 0.4962 0.5658 0.0683
V2 0.4962 0.9279 0.4304
V3 0.4974 0.0658 0.5696
V4 0.4974 0.4279 0.9317
Ga1 0.4717 0.7990 0.1727
Ga2 0.6262 0.2990 0.8273
O1 0.0101 0.6471 0.8631
O2 0.0242 0.1928 0.6929
O3 0.0242 0.8313 0.3314
O4 0.4510 0.1573 0.6392
O5 0.4510 0.3118 0.7937
O6 0.4976 0.1603 0.1891
O7 0.4976 0.8085 0.8373
O8 0.5000 0.3313 0.3071
O9 0.5000 0.6928 0.6686
O10 0.5181 0.6573 0.2063
O11 0.5181 0.8118 0.3608
O12 0.7840 0.1471 0.1369
O13 0.9712 0.3085 0.8109
____________
(Back to the article)
because they caught on and now they MAKE you pay for those “dummy phone numbers”
Thanks mate. on of these Mail services worked for me, no need phone verification and email recovery.
by the way, I’m Typing without looking at the keyboard !! I think it’s great. 0_o
isn’t it ?
mail.ru , alternate email address and rambler.ru , no phone number
useful article.
thank you.
Read this thread with interest. Thanks for the article and comments.
I just set up an account with Mail.com last night. I was asked to provide either a phone number or another e-mail address. I chose the latter, was able to avoid supplying a phone number. The e-mail address I gave is a faux account I set up that is also not in my name. (I admittedly may have attached a phone number to that address back when I set it up, back when I was not as sensitive about privacy. I do not recall.)
Could not access my new Mail.com account at first. I received the following message: “Dear mail.com member, our system has detected irregular activity related to your account. As a precautionary measure, we have blocked your account. To regain access, please contact our Customer Support.” Wondered if this was because I had not submitted a phone number, even though the account setup allowed me to avoid doing this.
I did contact the Mail.com customer support. Received two e-mail responses overnight to the secondary e-mail account that I provided. They were courteous, helpful. I never had to provide my phone number. Am now able to access my Mail.com account. Thumbs up.
I will say that I have considered getting a burner phone for various websites that require a phone number and where I don’t want to submit my personal cell. Wondering if anyone else has done this. Not sure it’s in my current budget, though.
So in other words, Mail.com is trash.
yeap mail.com and gmx also , both are now trash email ids
Tutanota not a serious email. Stay away from them. I posted on their site of reviews that their site was not working (did not give a bad remark, just mentioned that the site has not worked since I started the email with them…the result of those comments were….your guessed…I was blocked from my own account….talk about dishonesty? Email servers have perfected it
Inbox.Lv a real scammer. Once you try to delete the account–they don’t allow you to send an email without a phone number or another email account–so when you want to delete the account Inbox. Lv says that your infol will be subject to the European Union decision to use your data, butyou have another option of deletion where your name can’t be used for two years, so…I thought, let’s use this one, fill out the fields and in the last field the scammers posted, for the deletion to be effective….we need your phone number–confirmation code…wow…life as we know it, has changed…privacy gone….